• Activity:
Give back only the last part of the block further down, starting with the line that has "_cell_length_b 8.8930", please.

• Excerpt:
/*
No. 1
The following is a PBE calculation of MgIn3Br after structural relaxation, from Alexandria.

* electronic total energy: -2.20 eV per atom
* E above lowest polymorph: 0 kJ/mol of formula units
* raw formation energy: 0.10 eV per atom

Cell and atoms, written as CIF:
```
data_MgIn3Br
_cell_length_a 5.5701
_cell_length_b 5.5701
_cell_length_c 5.5701
_cell_angle_alpha 90.00
_cell_angle_beta 90.00
_cell_angle_gamma 90.00
_symmetry_space_group_name_H-M 'P m -3 m'
_symmetry_Int_Tables_number 221
_symmetry_space_group_name_Hall '-P 4 2 3'
loop_
_atom_site_label
_atom_site_fract_x
_atom_site_fract_y
_atom_site_fract_z
Mg1 0.0000 0.0000 0.0000
In1 0.0000 0.0000 0.5000
Br1 0.5000 0.5000 0.5000
```


No. 2
The following is a PBE calculation of SnBi after structural relaxation, from Alexandria.

* formation enthalpy at 0 K: 0.26 eV/f.u.
* electronic total energy: -3.81 eV per atom

Cell and atoms, written as CIF:
```
data_SnBi
_cell_length_a 8.8930
_cell_length_b 8.8930
_cell_length_c 5.7472
_cell_angle_alpha 90.00
_cell_angle_beta 90.00
_cell_angle_gamma 120.00
_symmetry_space_group_name_H-M 'P 63/m'
_symmetry_Int_Tables_number 176
_symmetry_space_group_name_Hall '-P 6c'
loop_
_atom_site_label
_atom_site_fract_x
_atom_site_fract_y
_atom_site_fract_z
Sn1 0.1052 0.6348 0.2500
Bi1 0.0736 0.7789 0.7500
```


No. 3
The following is a PBE calculation of LaYV2B after structural relaxation, from Alexandria.

* formation enthalpy at 0 K: 10.59 eV/f.u.
* electronic total energy: -5.14 eV per atom

Cell and atoms, written as CIF:
```
data_LaYV2B
_cell_length_a 4.4788
_cell_length_b 4.4788
_cell_length_c 5.5697
_cell_angle_alpha 90.00
_cell_angle_beta 90.00
_cell_angle_gamma 90.00
_symmetry_space_group_name_H-M 'P 4/m m m'
_symmetry_Int_Tables_number 123
_symmetry_space_group_name_Hall '-P 4 2'
loop_
_atom_site_label
_atom_site_fract_x
_atom_site_fract_y
_atom_site_fract_z
La1 0.0000 0.0000 0.0000
Y1 0.0000 0.0000 0.5000
V1 0.0000 0.5000 0.0000
B1 0.5000 0.5000 0.5000
```


No. 4
The following is a PBE calculation of LiHoInSn after structural relaxation, from Alexandria.

* formation enthalpy at 0 K: -1.56 eV/f.u.
* electronic total energy: -3.70 eV per atom
* E above lowest polymorph: 40 kJ/mol of formula units

Cell and atoms, written as CIF:
```
data_LiHoInSn
_cell_length_a 7.2764
_cell_length_b 7.2764
_cell_length_c 7.2764
_cell_angle_alpha 90.00
_cell_angle_beta 90.00
_cell_angle_gamma 90.00
_symmetry_space_group_name_H-M 'F -4 3 m'
_symmetry_Int_Tables_number 216
_symmetry_space_group_name_Hall 'F -4 2 3'
loop_
_atom_site_label
_atom_site_fract_x
_atom_site_fract_y
_atom_site_fract_z
Li1 0.0000 0.0000 0.0000
Ho1 0.0000 0.0000 0.5000
In1 0.2500 0.2500 0.7500
Sn1 0.2500 0.2500 0.2500
```


No. 5
The following is a PBE calculation of LiMg2Al2 after structural relaxation, from Alexandria.

* formation enthalpy at 0 K: 0.35 eV/f.u.
* electronic total energy: -2.45 eV per atom
* E above lowest polymorph: 30 kJ/mol of formula units

Cell and atoms, written as CIF:
```
data_LiMg2Al2
_cell_length_a 8.4475
_cell_length_b 8.4475
_cell_length_c 2.9474
_cell_angle_alpha 90.00
_cell_angle_beta 90.00
_cell_angle_gamma 90.00
_symmetry_space_group_name_H-M 'P 4/m b m'
_symmetry_Int_Tables_number 127
_symmetry_space_group_name_Hall '-P 4 2ab'
loop_
_atom_site_label
_atom_site_fract_x
_atom_site_fract_y
_atom_site_fract_z
Li1 0.0000 0.0000 0.0000
Mg1 0.1286 0.3714 0.0000
Al1 0.1686 0.6686 0.5000
```


No. 6
The following is a PBE calculation of RbVSb after structural relaxation, from Alexandria.

* electronic total energy: -4.80 eV per atom
* E above lowest polymorph: 0 kJ/mol of formula units
* raw formation energy: -0.06 eV per atom

Cell and atoms, written as CIF:
```
data_RbVSb
_cell_length_a 4.2858
_cell_length_b 4.2864
_cell_length_c 13.2484
_cell_angle_alpha 98.33
_cell_angle_beta 90.50
_cell_angle_gamma 119.99
_symmetry_space_group_name_H-M 'P 1'
_symmetry_Int_Tables_number 1
loop_
_symmetry_equiv_pos_as_xyz
'x,y,z'
loop_
_atom_site_label
*/

• Done:
_cell_length_b 8.8930
_cell_length_c 5.7472
_cell_angle_alpha 90.00
_cell_angle_beta 90.00
_cell_angle_gamma 120.00
_symmetry_space_group_name_H-M 'P 63/m'
_symmetry_Int_Tables_number 176
_symmetry_space_group_name_Hall '-P 6c'
loop_
_atom_site_label
_atom_site_fract_x
_atom_site_fract_y
_atom_site_fract_z
Sn1 0.1052 0.6348 0.2500
Bi1 0.0736 0.7789 0.7500
```


No. 3
The following is a PBE calculation of LaYV2B after structural relaxation, from Alexandria.

* formation enthalpy at 0 K: 10.59 eV/f.u.
* electronic total energy: -5.14 eV per atom

Cell and atoms, written as CIF:
```
data_LaYV2B
_cell_length_a 4.4788
_cell_length_b 4.4788
_cell_length_c 5.5697
_cell_angle_alpha 90.00
_cell_angle_beta 90.00
_cell_angle_gamma 90.00
_symmetry_space_group_name_H-M 'P 4/m m m'
_symmetry_Int_Tables_number 123
_symmetry_space_group_name_Hall '-P 4 2'
loop_
_atom_site_label
_atom_site_fract_x
_atom_site_fract_y
_atom_site_fract_z
La1 0.0000 0.0000 0.0000
Y1 0.0000 0.0000 0.5000
V1 0.0000 0.5000 0.0000
B1 0.5000 0.5000 0.5000
```


No. 4
The following is a PBE calculation of LiHoInSn after structural relaxation, from Alexandria.

* formation enthalpy at 0 K: -1.56 eV/f.u.
* electronic total energy: -3.70 eV per atom
* E above lowest polymorph: 40 kJ/mol of formula units

Cell and atoms, written as CIF:
```
data_LiHoInSn
_cell_length_a 7.2764
_cell_length_b 7.2764
_cell_length_c 7.2764
_cell_angle_alpha 90.00
_cell_angle_beta 90.00
_cell_angle_gamma 90.00
_symmetry_space_group_name_H-M 'F -4 3 m'
_symmetry_Int_Tables_number 216
_symmetry_space_group_name_Hall 'F -4 2 3'
loop_
_atom_site_label
_atom_site_fract_x
_atom_site_fract_y
_atom_site_fract_z
Li1 0.0000 0.0000 0.0000
Ho1 0.0000 0.0000 0.5000
In1 0.2500 0.2500 0.7500
Sn1 0.2500 0.2500 0.2500
```


No. 5
The following is a PBE calculation of LiMg2Al2 after structural relaxation, from Alexandria.

* formation enthalpy at 0 K: 0.35 eV/f.u.
* electronic total energy: -2.45 eV per atom
* E above lowest polymorph: 30 kJ/mol of formula units

Cell and atoms, written as CIF:
```
data_LiMg2Al2
_cell_length_a 8.4475
_cell_length_b 8.4475
_cell_length_c 2.9474
_cell_angle_alpha 90.00
_cell_angle_beta 90.00
_cell_angle_gamma 90.00
_symmetry_space_group_name_H-M 'P 4/m b m'
_symmetry_Int_Tables_number 127
_symmetry_space_group_name_Hall '-P 4 2ab'
loop_
_atom_site_label
_atom_site_fract_x
_atom_site_fract_y
_atom_site_fract_z
Li1 0.0000 0.0000 0.0000
Mg1 0.1286 0.3714 0.0000
Al1 0.1686 0.6686 0.5000
```


No. 6
The following is a PBE calculation of RbVSb after structural relaxation, from Alexandria.

* electronic total energy: -4.80 eV per atom
* E above lowest polymorph: 0 kJ/mol of formula units
* raw formation energy: -0.06 eV per atom

Cell and atoms, written as CIF:
```
data_RbVSb
_cell_length_a 4.2858
_cell_length_b 4.2864
_cell_length_c 13.2484
_cell_angle_alpha 98.33
_cell_angle_beta 90.50
_cell_angle_gamma 119.99
_symmetry_space_group_name_H-M 'P 1'
_symmetry_Int_Tables_number 1
loop_
_symmetry_equiv_pos_as_xyz
'x,y,z'
loop_
_atom_site_label